Be joyful in HOPE,
patient in affliction,
faithful in prayer.
Share with the Lord’s
people who are in need.
Romans 12:12-13

Festival of All Saints

Quantum chemistry results that have nothing to do with the article =
........
(1)
C31H43As2I2NRuS3SeSi2 | ωB97M-V/def2-TZVPD

The value obtained for the energy above the lowest of the compared OMol25 structures with the same formula, charge and spin is 3.132 eV. The charge is +1. The spin multiplicity is 2. As for the calculated total energy: -10598.4558 hartree. The HOMO-LUMO gap (spin up / spin down) is 4.28 / 4.27 eV.

XYZ file:
```
86
Properties=species:S:1:pos:R:3:mulliken_charge:R:1
Ru -0.892 -0.208 0.349 1.139
C -3.098 -2.064 2.605 -0.940
C -1.842 -1.786 3.411 -0.902
S -0.713 -0.498 2.721 0.016
C 0.908 -1.326 2.866 -0.384
C 1.095 -2.533 1.970 -1.050
S 0.440 -2.261 0.274 -0.397
C -0.572 -3.760 0.010 -0.539
C -1.783 -3.934 0.900 -1.051
S -2.864 -2.460 0.837 0.088
H -3.761 -1.192 2.588 0.333
H -3.625 -2.907 3.052 0.576
H -1.259 -2.695 3.554 0.495
H -2.136 -1.404 4.390 0.631
H 1.037 -1.587 3.918 0.584
H 1.623 -0.532 2.616 -0.349
H 0.610 -3.422 2.374 0.782
H 2.165 -2.728 1.852 0.610
H 0.106 -4.608 0.105 0.516
H -0.882 -3.671 -1.034 0.010
H -1.521 -4.118 1.940 0.397
H -2.376 -4.772 0.532 0.563
I -0.878 -0.023 -2.273 -0.467
I -0.642 -3.063 -3.841 -0.128
C 7.225 -0.868 1.142 -0.532
C 6.337 -0.084 1.861 -0.727
C 5.021 0.030 1.449 -0.119
C 4.588 -0.626 0.303 0.655
C 5.474 -1.428 -0.402 -0.289
C 6.789 -1.546 0.016 -0.790
As 2.758 -0.284 -0.311 1.268
C 2.792 -1.290 -1.970 0.006
C 2.653 -2.655 -2.127 -0.163
C 2.689 -3.217 -3.397 -1.215
C 2.867 -2.404 -4.512 -0.762
C 3.018 -1.039 -4.366 -0.452
C 2.986 -0.463 -3.097 0.302
C 3.183 0.945 -2.787 0.419
C 3.407 1.967 -3.708 -0.714
C 3.636 3.257 -3.268 -0.847
C 3.649 3.550 -1.911 -0.877
C 3.404 2.548 -0.983 -0.361
C 3.167 1.257 -1.414 -0.126
H 8.258 -0.941 1.452 0.385
H 6.671 0.449 2.739 0.430
H 4.329 0.647 2.012 0.367
H 5.142 -1.954 -1.290 0.354
H 7.471 -2.160 -0.555 0.423
H 2.522 -3.296 -1.260 0.583
H 2.579 -4.286 -3.517 0.457
H 2.885 -2.857 -5.493 0.412
H 3.156 -0.420 -5.239 0.419
H 3.407 1.752 -4.766 0.419
H 3.806 4.042 -3.988 0.418
H 3.834 4.559 -1.578 0.444
H 3.408 2.773 0.077 0.530
C -5.152 2.676 -1.636 -1.070
Si -4.929 0.846 -1.118 0.401
C -4.622 -0.308 -2.604 -1.014
C -6.409 0.219 -0.071 -1.041
As -3.055 0.845 0.502 0.222
Si -3.191 2.875 1.837 0.502
C -5.006 2.935 2.438 -1.132
C -2.061 2.650 3.362 -0.799
C -2.721 4.411 0.802 -0.893
H -5.926 2.779 -2.389 0.433
H -4.231 3.072 -2.056 0.333
H -5.431 3.293 -0.788 0.266
H -5.558 -0.538 -3.104 0.392
H -4.171 -1.250 -2.304 0.258
H -3.965 0.153 -3.337 0.299
H -7.356 0.402 -0.568 0.405
H -6.440 0.717 0.895 0.303
H -6.335 -0.850 0.104 0.320
H -5.282 2.007 2.929 0.312
H -5.688 3.090 1.611 0.274
H -5.151 3.742 3.146 0.405
H -2.420 1.855 4.012 0.249
H -2.021 3.563 3.948 0.410
H -1.039 2.412 3.073 0.089
H -3.393 4.545 -0.040 0.292
H -1.711 4.319 0.409 0.223
H -2.754 5.309 1.411 0.377
Se 0.290 2.302 0.385 -0.159
C 1.368 1.912 1.740 0.113
N 2.107 1.611 2.580 -0.620
```

(2)
C17H36BrF2I2OPTa | ωB97M-V/def2-TZVPD

The charge is -1. The spin multiplicity is 1. As for the calculated total energy: -4512.2153 hartree. The HOMO-LUMO gap is 6.59 eV.
........


Prayer: God, let our heart be in heaven. Amen. [Laache, p. 690]

Sermon Text, Revelation 7:9-17.

Dear saints:

Do you know this name for heaven? – “The church triumphant.” You don’t find this name in a Bible verse. But what do we see in Revelation 7? – We see the church in heaven – not a building, but the people who make up the church – and the only way to describe them is: triumphant – enjoying their victory. The Church Triumphant is the church in heaven. It’s not a different church but the one Christian Church – the church in earth and the church in heaven. We need to meet that part of it, the church triumphant, daily.

We have met them, but in the Church Militant.

Here on earth we’re in the “Church Militant,” the church that has enemies: the devil, the world and our own flesh. It’s how the Bible pictures the church on earth. Put on the armor of God, fight the good fight of faith, for the devil seeks to devour you, and in the world you have troubles – tribulation. This is the word the angel uses in Revelation 7. “Who are these?” the angel says, then answers: “These are the ones who come out of the great tribulation.”

The word “tribulation” means trouble, dire trouble, real distress. Some people think this refers to some really horrible time right before the end of the world – that the great tribulation is yet to come. But the Bible says: “We must through many tribulations enter the kingdom of God” (Ac 14:22).And Jesus said: “In the world you will have tribulation; but be of good cheer, I have overcome the world” (Jn 16:33). So this word tribulation brings us to Jesus!

If it’s the great tribulation, think of it this way: the troubles, your troubles, are “great.” The Lord is saying He considers your troubles to be big ones, they aren’t too small for Him to notice or care about. They matter to Him!

He knows your troubles. He knows your sadness. He knows your weakness. He knows your pain. He knows your sin and your guilt. He knows when you’re sinned against and trampled on. He knows when you want to give up. He knows when you’re filled with uncertainties and dark forebodings of the future. He knows when your grief or your loneliness is unbearable.

This is why these words about the saints in heaven – “these are the ones who come out of the great tribulation” – are so precious to us.

It’s being revealed to us that they came out of the same suffering, the same hard stuff, the same tribulation, troubles, that we are currently in. This phrase, “the great tribulation,” sums up all their suffering in life. They had it here, but they don’t have it there –none of it’s there! Even those who were abused sexually or by violence. Even those who marred their own bodies through sins or addictions. Even those who suffered mental health deficits or struggled with self-acceptance. We dwell on those miseries, we cry out in anguish in this life, and we’re being shown that in the church triumphant they’ve come out of it.

We live in a fallen world where there’s sin and death, where the wages of sin is death. We love and form attachments with people who are taken from us in death, and our hearts fill up with such anguish and pain.

We also live in a fallen world that isn’t a friend to our faith. It’s easier and easier for people to fall away. Fewer and fewer people are willing to deny themselves and live a godly life. It’s harder and harder to be at peace. Our sins trouble us. There are griefs and hurts of everyday life. It’s hard to trust in God as His children. This is what it means to be in the “great tribulation.”

We also see this in what the angel says the ones in heaven don’t have to endure anymore: “They shall neither hunger anymore nor thirst anymore; the sun shall not strike them, nor any heat. And God will wipe away every tear.”

This church festival – All Saints’ Day – is for remembering the departed Christians. What do we remember? We remember the good times, but also (if it was hard toward the end) their tribulations, their hurts and griefs. When I hear “the sun shall not strike them, nor any heat,” I think of my dad, who was a surveyor. The South Texas sun beat on him 10 hours a day for 42 years. That wasn’t exactly a spiritual hardship, but the point is: we remember our loved ones as they were here. We saw them having hard stuff to bear.

This is often how we’re tempted to define our life: all that’s wrong in the world or the church, all that we get down-hearted about, our worries or fears.

But as Jesus gives us this picture, He’s naming all this in your life, and in the lives of our departed loved ones.

Obviously we need this picture of the Church Triumphant. This is why Jesus reveals this in Revelation 7 to St. John. It’s written down for us, to meet the Church Triumphant and be comforted, encouraged:

We meet them in their revealed reality. We don’t see them. We didn’t see them actually going to heaven. That glorious sight is hidden from our eyes. But this wasn’t hidden from St. John’s eyes. It’s written down for us: “a great multitude that no one could number standing before the throne and before the Lamb, clothed in white robes, with palm branches,” and singing!

**What comes next are quantum chemistry results, not part of the piece**
-- begin --
Formula: C7H6S2
Source: the Open Molecules 2025 dataset
Level of theory: the ωB97M-V functional and the def2-TZVPD basis

Highest occupied orbital energy (alpha / beta), eV: -7.149 / -6.854
Frontier orbital gap (alpha / beta), eV: 6.574 / 6.178
ΔE to the lowest compared entry with this formula, charge and spin, kcal/mol: 137.2
LUMO (alpha / beta), eV: -0.576 / -0.676

```
15
Properties=species:S:1:pos:R:3:forces:R:3:lowdin_charge:R:1
C 0.35090 1.97377 1.42374 -0.1 -2.5 -1.6 -0.21
C 0.14995 0.60167 1.23060 -0.9 -0.3 0.9 -0.09
C 0.27407 2.69558 0.30809 0.4 1.8 -1.9 -0.45
C -0.11774 0.21406 -0.09574 1.0 2.1 0.6 -0.48
C 0.36188 -3.00618 -0.20076 -0.5 2.4 -0.6 -0.29
C -0.58190 -0.94767 -0.52457 -0.1 -2.4 0.5 -0.16
C -0.81324 -1.58046 -1.82364 0.7 0.7 0.6 -0.53
S 0.22049 1.77175 -1.15907 -0.6 -0.5 1.5 0.94
S -0.55338 -3.31079 -1.51556 -0.5 -0.4 -0.5 0.90
H 0.46560 2.37202 2.33983 0.3 1.4 3.0 0.07
H -0.02063 -0.03016 2.14395 0.3 0.2 -1.4 0.14
H 0.25126 3.79865 0.34650 0.0 -0.8 -0.5 0.08
H 0.48437 -3.87139 0.37531 0.5 -1.6 1.0 -0.06
H -1.71651 -1.24656 -2.22560 -2.4 -0.2 -0.2 0.08
H -0.22202 -1.19452 -2.59622 1.9 0.1 -1.3 0.06
```
Forces are in eV/Å.

* * * * *

This record from OMol25 describes a structure of composition C23H43N2OP3PtS. The level of theory is the ωB97M-V functional and the def2-TZVPD basis.

Positions of all 74 atoms, in Å:
Pt1 -0.03456 1.01632 0.09775
P1 2.01753 1.21704 1.12814
P2 -2.10647 2.03601 0.08276
P3 0.69590 1.94685 -1.90582
H1 0.97340 -4.03188 -0.23078
C1 1.96416 -3.55547 -0.24405
C2 2.56056 -3.18346 0.89548
H2 2.09578 -3.38758 1.86538
C3 2.41283 0.13907 2.54141
C4 2.04221 2.88132 1.90234
C5 3.57897 1.15700 0.17674
C6 -3.36429 1.11471 -0.85365
C7 -2.85908 2.19691 1.73829
C8 -2.11234 3.77752 -0.49128
C9 1.96762 0.85176 -2.64230
C10 1.55879 3.55125 -1.67182
C11 -0.45437 2.38769 -3.28546
H3 2.46540 -3.49512 -1.22118
H4 3.54164 -2.69673 0.90053
H5 2.14343 -0.90352 2.34508
H6 1.90050 0.49129 3.44232
H7 3.49489 0.19485 2.71570
H8 1.12153 3.04703 2.47449
H9 2.12740 3.67356 1.14973
H10 2.89958 2.93583 2.58589
H11 3.63754 0.23639 -0.41357
H12 4.40631 1.15117 0.89893
H13 3.71417 2.01614 -0.48921
H14 -4.26504 1.74133 -0.94684
H15 -3.61172 0.21242 -0.27810
H16 -2.99376 0.81267 -1.84388
H17 -3.80482 2.75346 1.66436
H18 -2.18227 2.73065 2.41793
H19 -3.06033 1.19274 2.12668
H20 -3.10914 4.20219 -0.30059
H21 -1.89003 3.84331 -1.56083
H22 -1.37088 4.36042 0.07128
H23 1.62519 0.51590 -3.62715
H24 2.14120 -0.04189 -2.03252
H25 2.91140 1.40822 -2.72846
H26 1.63773 4.03287 -2.65747
H27 2.56427 3.42938 -1.25431
H28 0.98052 4.20586 -1.00964
H29 -0.42138 1.62173 -4.07220
H30 -0.13001 3.35300 -3.70627
H31 -1.49597 2.49767 -2.96458
C12 -0.86637 -1.79266 -3.87200
C13 -1.90334 -1.79684 -4.84935
C14 -1.92053 -2.76488 -5.84732
C15 -0.90638 -3.73601 -5.91727
C16 0.10540 -3.76198 -4.94060
C17 0.14150 -2.79700 -3.94069
S1 -0.89580 -0.71606 -2.57956
H32 -0.53996 0.66254 2.21344
H33 -2.67933 -1.03676 -4.76078
H34 -2.74922 -2.78450 -6.55990
-- stop --

This is here to encourage us. So now we come to the answer to all of this. How did they “come out of the great tribulation,” and make it to heaven, how will we? “They washed their robes and made them white in the blood of the Lamb.” How can blood make something white? It’s Jesus’ holy blood that cleanses us from all sin.

What makes His death enough to take away your sins is His righteousness, His holiness, His purity, His keeping the Law perfectly for all people. He took from each and every person in the world all their sin onto Himself, and in exchange He gives His perfect righteousness to you.

He dresses you in it. He puts it on you like a white robe. This is done in baptism. It happens when you receive the gift of faith in Him. As the Holy Spirit gives you faith in Jesus, and preserves your faith, He’s dressing you in a white robe of Jesus’ righteousness.

This is our reason for hope, when we think of our departed friends and loved ones who put their trust not in themselves but in Jesus. They all have their personalities. I have some names in my head – my father Jerry, my father-in-law Bill, my cousin’s daughter Sarah, others named Marlene and Vic and Lila and Monica and Barb and Tim and Kenneth. You have other names and faces in mind. When the Lord called them home – no matter how shocking or devastating that moment was for us – they were ready for it, they were (and are) full of joy, since they were already wearing the white robes, and joined in this hymn of victory in heaven above as those who belong.

The only way for us to be with them now is to be dressed in a white robe – to be righteous, with no sins in God’s sight. He doesn’t wait to put it on you in heaven. He does it now in Word and Sacrament. We don’t see the white robes. We see how we’re sinful, unclean. But this isn’t where we get to see our white robes. Here we believe it. Believe it! By faith in Jesus, you have no sins in God’s sight. Just as John saw the white-robed throng, God and the angels see you in white, with the church in heaven, with those who have gone before us. In the Lord’s Supper, as we’re united with Christ we’re united with them. We are all wearing white robes, in the church triumphant and the church militant. That’s when we’re with them on earth, as we wait to be with them in heaven.

One of the great things in this picture in Revelation 7 is that John wasn’t seeing a nameless, faceless multitude, but he sees individuals. He sees that they are of different nations – not races, since “race” doesn’t exist according to God in the Bible, humanity is all one race – but they are of different nations and tribes, different languages even, he says. So people keep their personalities even when we’re glorified, they keep their unique faces and bodies (once our bodies are raised), so you can recognize them, talk to and understand them.

Also, John wasn’t looking just at all the people who came before him and went to heaven. Surely it consoled him greatly to see his brother James who was martyred, to see Mary whom he cared for until her death, to see Peter, Andrew and the rest, even the people in the churches he served. But John is taken out of time for this vision, so he’s seeing all the people who ever go to heaven: St. Augustine and his mother Monica, the martyrs Polycarp and Perpetua, Martin Luther, his wife Katie and their daughter Magdalena who died at 13, down to your parents, and yes, you. You’re in that picture of heaven. You are there.

Even though your life here is still going, in this picture – for your comfort, encouragement and confidence of salvation – Jesus shows you being in the church in heaven, with all those you know who are there, shoulder to shoulder.

So fear not, you haven’t seen them for the last time and nothing will remain unspoken. The joys you had with them here are not past; but more joys await, and you’ll know them even better there where we are more ourselves than we are here, exactly as God created, redeemed and sanctified us to be. Amen!